Curriculum Support
Our remote learning provision is made up of two main digital learning platforms: Tapestry (EYFS) and Google Classroom (Yr1-Y6).
Tapestry is an easy-to-use, secure online learning journal that helps staff and families record children’s experiences using photographs and videos. It also enables users to keep a permanent record of children’s ‘learning journey’ which is stored securely and can be downloaded and shared as required. Parents are able to view online their child’s progress and communicate with staff.
Google Classroom is a digital platform that enables teachers to create an online classroom area in which they can manage all the documents the children need. Documents are stored on a Google drive and can be uploaded for the teacher to mark and give feedback. Google Classroom enables pupils and teachers to interact with one another regularly through ‘Google Meet’ where they can meet face-to-face virtually.
Teachers schedule Google meets with groups of children to consolidate the learning that has taken place, model concepts and provide live feedback to ensure children are receiving high first quality learning from their teacher.
- Remote Learning Policy (Review Nov 2021)
- Remote Learning Provision information for Parents
For pupils learning at home:
- Pupils will need to log onto the google classroom platform each day to access their learning activities.
- The class teacher will be uploading new content daily. This will include appropriate explanations of new content, delivered by a teacher or through high-quality curriculum resources including videos.
- In Key Stage 2, it is expected that children will be engaging in the work provided by their teachers for 4 hours a day.
- In Key Stage 1, it is expected that children will be engaging in the work provided by their teachers for up to 3 hours a day.
- In Reception, it is expected that children will engage in the daily phonics, literacy and maths activities and do 15 minutes of reading per day. Teachers are also providing daily challenges to give ideas for child led learning activities.
- Children can complete the tasks online. These can then be submitted back to the class teacher by uploading the documents on google classroom or taking a photograph or video of the tasks completed.
- Class teachers and TAs will be checking and marking the returned work throughout the working day to assess engagement and progress. They will provide feedback to pupils which acknowledges effort and supports further learning as appropriate.
- Teachers will endeavour to respond to queries and work submitted as soon as possible.
- School staff will monitor engagement and follow up with families who are not engaging, to address any difficulties and ensure that children and their learning are safeguarded.
- The remote curriculum delivered will follow, and as closely as possible mirror, that which is being delivered in school.
- Teachers will communicate with and support parents whose children have additional needs which make accessing remote learning more challenging. We will make our best endeavours to support these children in continuing to make progress in their learning.
- If families are having difficulties accessing the online platform due to technology issues, they can contact the school office to discuss solutions.
- Parents are welcome to communicate with class teachers via the Google Classroom platform or by telephoning school to discuss any difficulties or concerns that they have with remote learning.
It is vital, during these disrupted times, that children keep as much routine as possible with their learning. Follow our top tips to get the most out of their Home Learning. It is also important to follow the online safety guidance below.
- Ensure that you follow best practice for online safety – know what your child is accessing and who they are communicating with.
- Establish a routine for Monday to Friday, that includes the usual refreshment breaks and a good balance of physical activity and sitting down to work.
- Allow your child some say in the order that work is completed, but once decided, it must be stuck to – don’t allow negotiation throughout the day.
- If there is one subject that your child finds harder than another, do that one first, while they are fresh, and get it out of the way.
- Do everything you can to remain positive and praise effort more than achievement.
- Some children may need the timetable visually – it can help to tick things off when they are done.
- Work towards a reward (TV time, game time etc) that can be reduced if time is wasted or there is not enough effort being put in.
- If possible have an allocated area for working away from distractions.
- Do not have TV or radio on during work time – music (preferably without words) is OK, but talk and lyrics can be very distracting.
- Ensure that you are all getting quality sleep – no screens before bedtime.
- Keep a water bottle to hand so that your child can stay hydrated.
- Use the interactive platform to stay in touch with your child’s teacher and alert them to any difficulties.
Google Classroom Instructions for Parents – How to use our school’s Google Classroom
Google Classroom is an educational tool, which will be used strictly for educational purposes. Each class has a page, which includes work for pupils to complete at home, links to helpful websites and educational videos to enhance our provision. It also provides a platform for pupils to keep in touch with their teacher during the scheduled lessons, which is so important whilst children are working remotely.
Please view the link below
Logins to online learning resources- The school subscribes to a number of online learning resources which can be accessed at home. It is essential that children and parents have access to the relevant login details from the start of the school year so that they are immediately available in the event of a closure of self-isolation.
Login details that should be included are:
- Google Classroom (Year 1- Year 6)
- Tapestry (Reception)
- Times Table Rockstars (KS2)
- Reading Eggs
- Readiwriter
- Mathletics
Online Learning Resources:
Times Table Rockstars – All children from Year 1 to Year 6 have a logon for Times Tables Rockstars. This is a fantastic website that supports children in learning their times tables.
Once your child has logged in they should play in Garage mode. This has an automatic training mode which starts with easy times tables and as the children get them correct it adds in more and more times tables. This means that it is pitched at the right level for the children so they’re able to practise getting quicker at tables that they know rather than struggling over many that they don’t know.
Oxford Reading Owl – Free resources to support learning at home
- Advice and support for parents
- Educational activities and games
- Free eBook library for 3- to 11-year-olds
Reading Eggs – makes learning to read interesting and engaging for kids, with great online reading games and activities. Children love the games, songs, golden eggs and other rewards which, along with feeling proud of their reading, really motivate children to keep exploring and learning. – offers practice KS1 & KS2 SATs grammar & punctuation tests. Each practice SPAG test is instantly marked providing instant gap analysis.
White Rose Maths– The White Rose Maths ‘schemes of learning’ are hugely popular with schools in the UK and in many other countries, too. We also produce many other resources to help increase both fun and success in maths. Rooted in globally respected research, our resources are written by experienced, practising teachers and are available for pupils from nursery and primary years.
Mathletics – Success is different for every child. For some, it’s getting to the top of the class; for others, it’s finding an answer on their own. Mathletics provides a safe, encouraging learning environment that provides the right level of challenge to help your learners grow, gain confidence, and achieve their best.
Readiwriter – This spelling program delivers a rich understanding of spelling in an engaging way.
Website Links
BBC Bitesize– Explore our best videos, articles and quizzes for primary and secondary students and discover new Primary Catch-Up Lessons to get back on track. BBC Bitesize covers all subjects.
Topmarks– Topmarks has a range of educational resources, games and links to other websites covering all subjects.
Toy Theatre– Toy theatre is a collection of interactive educational games covering a range of subjects.
ICT Games– Educational maths and English games aimed at 5-8 year olds.
Phonics Play– Some free phonic games.
[What comes next are calculated crystals, not part of the text]
- - -
(1)
Calculated powder XRD pattern
Compound: Tm5TlBi4
Radiation: λ = 1.5418 Å (Cu Kα)
Structure: a cell relaxed with GGA-PBE
Lines closer than 0.1° are merged.

Principal peaks in the range 10 to 80 degrees two-theta, in order of rising 2θ:
Position (°2θ)  d [Å]  I (rel.)
24.7  3.609  1.8
28.6  3.126  100.0
40.8  2.210  77.9
48.3  1.885  1.1
50.6  1.805  28.2
59.1  1.564  8.9
59.2  1.561  4.4
66.9  1.398  24.7
67.0  1.397  12.3
74.3  1.276  27.6

a b c (Å): 9.8907 9.8907 6.2431
angles (deg): 90.00 90.00 90.00
Space group I4/m (No. 87)
Inequivalent atoms, fractional coordinates:
Tm 0.0000 0.0000 0.0000 [2 per cell]
Tm 0.1020 0.3003 0.5000 [8 per cell]
Tl 0.0000 0.0000 0.5000 [2 per cell]
Bi 0.0987 0.3003 0.0000 [8 per cell]

***

(2)
Calculated powder XRD pattern
Compound: Tm6Tl6Bi
Radiation: λ = 1.5418 Å (Cu Kα)
Structure: a cell relaxed with GGA-PBE
Lines closer than 0.1° are merged.

Principal peaks in the range 10 to 80 degrees two-theta, in order of rising 2θ:
Position (°2θ)  d [Å]  I (rel.)
27.6  3.236  28.5
30.7  2.909  16.7
31.9  2.802  57.6
32.8  2.733  58.9
35.2  2.553  32.8
36.6  2.457  100.0
48.2  1.887  21.9
56.9  1.618  33.7
61.6  1.506  23.0
68.7  1.367  28.8

a b c (Å): 6.4713 6.4713 10.2120
angles (deg): 90.00 90.00 120.00
Space group P6/mmm (No. 191)
Inequivalent atoms, fractional coordinates:
Tm 0.0000 0.0000 0.1883 [2 per cell]
Tm 0.3333 0.6667 0.0000 [2 per cell]
Tm 0.3333 0.6667 0.5000 [2 per cell]
Tl 0.0000 0.5000 0.2490 [6 per cell]
Bi 0.0000 0.0000 0.5000 [1 per cell]

***

(3)
Calculated powder XRD pattern
Compound: Tm3TlBi2
Radiation: λ = 1.5418 Å (Cu Kα)
Structure: a cell relaxed with GGA-PBE
Lines closer than 0.1° are merged.

Principal peaks in the range 10 to 80 degrees two-theta, in order of rising 2θ:
Position (°2θ)  d [Å]  I (rel.)
28.6  3.119  100.0
39.5  2.280  14.2
40.9  2.205  51.8
42.2  2.141  11.9
49.5  1.840  15.0
51.8  1.764  13.2
59.2  1.561  8.9
67.1  1.395  12.3
67.2  1.394  12.3
72.6  1.302  9.7

a b c (Å): 14.3360 6.2296 8.5639
angles (deg): 90.00 107.37 90.00
Space group C2/c (No. 15)
Inequivalent atoms, fractional coordinates:
Tm 0.0000 0.0012 0.2500 [4 per cell]
Tm 0.1700 0.5000 0.0850 [8 per cell]
Tl 0.0000 0.4988 0.7500 [4 per cell]
Bi 0.1659 0.0001 0.0829 [8 per cell]

***

(4)
Calculated powder XRD pattern
Compound: Tm3Tl2Bi
Radiation: λ = 1.5418 Å (Cu Kα)
Structure: a cell relaxed with GGA-PBE
Lines closer than 0.1° are merged.

Principal peaks in the range 10 to 80 degrees two-theta, in order of rising 2θ:
Position (°2θ)  d [Å]  I (rel.)
29.5  3.028  41.2
29.7  3.012  100.0
30.2  2.960  85.7
30.8  2.901  93.3
35.9  2.502  34.6
36.0  2.493  28.2
42.8  2.111  61.4
43.7  2.072  63.5
48.0  1.895  30.8
70.1  1.342  31.8

a b c (Å): 3.5242 5.8026 17.7583
angles (deg): 90.00 90.00 90.00
Space group Immm (No. 71)
Inequivalent atoms, fractional coordinates:
Tm 0.0000 0.0000 0.0000 [2 per cell]
Tm 0.0000 0.5000 0.1749 [4 per cell]
Tl 0.0000 0.5000 0.3478 [4 per cell]
- - -
White Rose Maths – Together, we’re building a whole new culture of deep understanding, confidence and competence in maths – a culture that produces strong, secure learning and real progress. No matter what their starting points, we help teachers and learners everywhere to achieve excellence.
Prodigy Maths Game – Sign up for free access to Prodigy Math Game world, where you answer maths questions to complete epic quests and earn in-game rewards. For children at all levels.
SplashLearn– is a free resource for children from Reception to Year 6. Sign up to have a personalised learning path fit for catching up, enrichment or regular practice. Full of fun, interactive maths games.
Numbots- NumBots is all about every child achieving the “triple win” of understanding, recall and fluency in mental addition and subtraction, so that they move from counting to calculating.
Foundation Subjects
Joe Wicks’ Workouts – Access a variety of different types of workouts to stay active on Joe Wicks’ youtube site: The Body Coach TV.
Cosmic Kids Yoga – Cosmic Kids Yoga are interactive adventures which build strength, balance and confidence – and gets kids into yoga and mindfulness early! Each episode is its own story, so you can enjoy the Cosmic Kids series in any order.
Go Noodle for Families– A wide range of fun dances for children to learn and help them stay active.
National Geographic Kids – Discover cool fun facts about space, bugs, animals, dinosaurs, and so much more!
Horrible Histories – Horrible Histories is a hit CBBC show that explores the side of history that they don’t teach you about in school! From the Vicious Vikings and Awful Egyptians to the Slimy Stuarts and Terrible Tudors, Horrible Histories covers the funniest, yuckiest and most gruesome bits of history for kids.
SciShow Kids – SciShow Kids explores all those curious topics that make us ask “why?” Whether conducting experiments, researching new questions, or talking with experts, there’s always something new to discover with SciShow Kids, no matter what your age!
Hour of Code– Trying an Hour of Code is a simple and fun way to introduce students to computer science.
Blockly Games– Blockly Games is a series of educational games that teach programming. It is designed for children who have not had prior experience with computer programming. By the end of these games, players are ready to use conventional text-based languages.
Online Safety
Online safety is of paramount importance, especially as children are doing more and more online. These are the sites that the government are recommending for parents to access for more information:
Children should know how to raise concerns while online
- Childline – for support
- UK Safer Internet Centre – to report and remove harmful online content
- CEOP – for advice on making a report about online abuse
Support for parents and carers to keep their children safe online includes:
- Thinkuknow provides advice from the National Crime Agency (NCA) on staying safe online
- Parent info is a collaboration between Parentzone and the NCA providing support and guidance for parents from leading experts and organisations
- Childnet offers a toolkit to support parents and carers of children of any age to start discussions about their online life, to set boundaries around online behaviour and technology use, and to find out where to get more help and support
- Internet Matters provides age-specific online safety checklists, guides on how to set parental controls on a range of devices, and a host of practical tips to help children get the most out of their digital world
- London Grid for Learning has support for parents and carers to keep their children safe online, including tips to keep primary aged children safe online
- Net-aware has support for parents and carers from the NSPCC and O2, including a guide to social networks, apps and games
- Let’s Talk About It has advice for parents and carers to keep children safe from online radicalisation
- UK Safer Internet Centre has tips, advice, guides and other resources to help keep children safe online, including parental controls offered by home internet providers and safety tools on social networks and other online services
Government has also provided:
- support for parents and carers to keep children safe from online harms, includes advice about specific harms such as online child sexual abuse, sexting, and cyberbullying
- support to stay safe online includes security and privacy settings, blocking unsuitable content, and parental controls